Assignment =
Echo only the lines below with the word "by" in them.

Listing =
+++
Entry 1:
For Mg3Si4, a cell relaxed with PBE gives the calculated PXRD pattern in this record (Cu Kα).
Peak positions follow from Bragg's law for the DFT cell and can differ from measured ones.

Most intense lines, 10° ≤ 2θ ≤ 90°, sorted by position:
8.153 Å, 2θ = 10.85°, I 11; 2.773 Å, 2θ = 32.28°, I 15; 2.307 Å, 2θ = 39.04°, I 37; 2.291 Å, 2θ = 39.33°, I 100; 2.264 Å, 2θ = 39.82°, I 17; 2.245 Å, 2θ = 40.16°, I 17; 1.609 Å, 2θ = 57.25°, I 12; 1.329 Å, 2θ = 70.92°, I 17

Structural model:
```
data_Mg3Si4
_chemical_formula_sum 'Mg12 Si16'
_cell_length_a 13.4717
_cell_length_b 4.6143
_cell_length_c 8.4561
_cell_angle_alpha 90.00
_cell_angle_beta 105.38
_cell_angle_gamma 90.00
_symmetry_space_group_name_H-M 'C 1 m 1'
_symmetry_Int_Tables_number 8
_symmetry_space_group_name_Hall 'C -2y'
loop_
_atom_site_label
_atom_site_type_symbol
_atom_site_fract_x
_atom_site_fract_y
_atom_site_fract_z
Mg1 Mg 0.0000 0.0000 0.0000
Mg2 Mg 0.0314 0.0000 0.3594
Mg3 Mg 0.0724 0.5000 0.6084
Mg4 Mg 0.2250 0.5000 0.3934
Mg5 Mg 0.2873 0.5000 0.7890
Mg6 Mg 0.3669 0.0000 0.3660
Si1 Si 0.0329 0.5000 0.1832
Si2 Si 0.1297 0.5000 0.9615
Si3 Si 0.1420 0.0000 0.8248
Si4 Si 0.2266 0.0000 0.5867
Si5 Si 0.3074 0.5000 0.1239
Si6 Si 0.3502 0.0000 0.0270
Si7 Si 0.4087 0.0000 0.7531
Si8 Si 0.4567 0.5000 0.6463
```



Entry 2:
For Mg4Si3, a cell relaxed with PBE gives the calculated PXRD pattern in this record (Cu Kα).
Peak positions follow from Bragg's law for the DFT cell and can differ from measured ones.

Most intense lines, 10° ≤ 2θ ≤ 90°, sorted by position:
2.665 Å, 2θ = 33.62°, I 85; 2.580 Å, 2θ = 34.77°, I 70; 2.534 Å, 2θ = 35.42°, I 90; 2.440 Å, 2θ = 36.84°, I 96; 2.381 Å, 2θ = 37.78°, I 100; 2.281 Å, 2θ = 39.51°, I 83; 2.270 Å, 2θ = 39.71°, I 85; 2.234 Å, 2θ = 40.38°, I 74

Structural model:
```
data_Mg4Si3
_chemical_formula_sum 'Mg8 Si6'
_cell_length_a 5.4876
_cell_length_b 6.9367
_cell_length_c 8.2263
_cell_angle_alpha 108.02
_cell_angle_beta 103.94
_cell_angle_gamma 103.51
_symmetry_space_group_name_H-M 'P 1'
_symmetry_Int_Tables_number 1
_symmetry_space_group_name_Hall 'P 1'
loop_
_atom_site_label
_atom_site_type_symbol
_atom_site_fract_x
_atom_site_fract_y
_atom_site_fract_z
Mg1 Mg 0.0000 0.0000 0.0000
Mg2 Mg 0.9997 0.2282 0.4384
Mg3 Mg 0.2978 0.9032 0.3058
Mg4 Mg 0.3648 0.0639 0.7675
Mg5 Mg 0.4779 0.4167 0.3150
Mg6 Mg 0.4837 0.6052 0.8255
Mg7 Mg 0.7564 0.8850 0.5811
Mg8 Mg 0.8843 0.4348 0.1251
Si1 Si 0.0435 0.3115 0.8382
Si2 Si 0.1897 0.6505 0.4999
Si3 Si 0.5395 0.0393 0.0884
Si4 Si 0.6202 0.2743 0.6069
Si5 Si 0.7424 0.8050 0.2184
Si6 Si 0.9658 0.6172 0.7269
```



Entry 3:
For Mg3Si4, a cell relaxed with PBE gives the calculated PXRD pattern in this record (Cu Kα).
Peak positions follow from Bragg's law for the DFT cell and can differ from measured ones.

Most intense lines, 10° ≤ 2θ ≤ 90°, sorted by position:
2.700 Å, 2θ = 33.18°, I 57; 2.607 Å, 2θ = 34.40°, I 60; 2.543 Å, 2θ = 35.29°, I 100; 2.432 Å, 2θ = 36.96°, I 39; 2.329 Å, 2θ = 38.66°, I 38; 2.202 Å, 2θ = 40.99°, I 62; 2.173 Å, 2θ = 41.56°, I 44; 2.066 Å, 2θ = 43.83°, I 67

Structural model:
```
data_Mg3Si4
_chemical_formula_sum 'Mg6 Si8'
_cell_length_a 4.1336
_cell_length_b 7.7916
_cell_length_c 8.5373
_cell_angle_alpha 74.55
_cell_angle_beta 77.65
_cell_angle_gamma 89.39
_symmetry_space_group_name_H-M 'P 1'
_symmetry_Int_Tables_number 1
_symmetry_space_group_name_Hall 'P 1'
loop_
_atom_site_label
_atom_site_type_symbol
_atom_site_fract_x
_atom_site_fract_y
_atom_site_fract_z
Mg1 Mg 0.0000 0.0000 0.0000
Mg2 Mg 0.0541 0.4283 0.8721
Mg3 Mg 0.3739 0.8083 0.2809
Mg4 Mg 0.5700 0.7754 0.8635
Mg5 Mg 0.7899 0.5287 0.5284
Mg6 Mg 0.8879 0.2166 0.2992
Si1 Si 0.0650 0.0672 0.6506
Si2 Si 0.2102 0.7553 0.6333
Si3 Si 0.3324 0.3414 0.4604
Si4 Si 0.4371 0.4625 0.1406
Si5 Si 0.4732 0.1820 0.0689
Si6 Si 0.5532 0.2024 0.7662
Si7 Si 0.7668 0.8879 0.4938
Si8 Si 0.9410 0.6403 0.1263
```

* * * * *

No. 1
+++

Reply =
Most intense lines, 10° ≤ 2θ ≤ 90°, sorted by position:
Most intense lines, 10° ≤ 2θ ≤ 90°, sorted by position:
Most intense lines, 10° ≤ 2θ ≤ 90°, sorted by position: